[Activity]
What is needed: return all of the lines further down with every line break kept.

[Listing]
~~~
GGA-PBE Ba2RuW, relaxed; excess energy over the best structure of this formula in the dataset = 1149 meV/atom; density of states at the Fermi level = 4.8 states/eV per cell; space-group type = P4/mmm, No. 123; calculated formation energy = 1543 meV/atom; uncorrected energy = -4.976 eV/atom
1.0
3.833 0.000 0.000
0.000 3.833 0.000
0.000 0.000 7.642
Ba Ru W
2 1 1
Direct
0.000 0.000 0.234 Ba
0.000 0.000 0.766 Ba
0.500 0.500 0.000 Ru
0.500 0.500 0.500 W

=====

GGA-PBE BaRu2W, relaxed; excess energy over the best structure of this formula in the dataset = 331 meV/atom; density of states at the Fermi level = 4.4 states/eV per cell; space-group type = Pmm2, No. 25; calculated formation energy = 734 meV/atom; uncorrected energy = -7.623 eV/atom
1.0
2.973 0.000 0.000
0.000 3.775 0.000
0.000 0.000 7.649
Ba Ru W
1 2 1
Direct
0.000 0.000 0.000 Ba
0.000 0.000 0.497 Ru
0.500 0.500 0.312 Ru
0.500 0.500 0.630 W

=====

GGA-PBE BaRu2W, relaxed; excess energy over the best structure of this formula in the dataset = 476 meV/atom; density of states at the Fermi level = 3.3 states/eV per cell; space-group type = I-42d, No. 122; calculated formation energy = 879 meV/atom; uncorrected energy = -7.478 eV/atom
1.0
-3.724 3.724 3.363
3.724 -3.724 3.363
3.724 3.724 -3.363
Ba Ru W
2 4 2
Direct
0.000 0.000 0.000 Ba
0.750 0.250 0.500 Ba
0.199 0.625 0.074 Ru
0.375 0.449 0.574 Ru
0.551 0.125 0.926 Ru
0.875 0.801 0.426 Ru
0.250 0.750 0.500 W
0.500 0.500 0.000 W

=====

GGA-PBE Ba4RuW, relaxed; density of states at the Fermi level = 10.1 states/eV per cell; space-group type = F-43m, No. 216; calculated formation energy = 1790 meV/atom; uncorrected energy = -3.197 eV/atom
1.0
0.000 4.793 4.793
4.793 0.000 4.793
4.793 4.793 0.000
Ba Ru W
4 1 1
Direct
0.125 0.125 0.125 Ba
0.125 0.125 0.626 Ba
0.125 0.626 0.125 Ba
0.626 0.125 0.125 Ba
0.750 0.750 0.750 Ru
0.500 0.500 0.500 W

=====

GGA-PBE Ba2RuW, relaxed; excess energy over the best structure of this formula in the dataset = 1175 meV/atom; density of states at the Fermi level = 4.4 states/eV per cell; space-group type = Fm-3m, No. 225; calculated formation energy = 1569 meV/atom; uncorrected energy = -4.950 eV/atom
1.0
0.000 3.860 3.860
3.860 0.000 3.860
3.860 3.860 0.000
Ba Ru W
2 1 1
Direct
0.250 0.250 0.250 Ba
0.750 0.750 0.750 Ba
0.000 0.000 0.000 Ru
0.500 0.500 0.500 W

=====

GGA-PBE Ba2RuW, relaxed; excess energy over the best structure of this formula in the dataset = 1098 meV/atom; density of states at the Fermi level = 6.3 states/eV per cell; space-group type = Pmmm, No. 47; calculated formation energy = 1492 meV/atom; uncorrected energy = -5.027 eV/atom
1.0
3.291 0.000 0.000
0.000 5.236 0.000
0.000 0.000 5.967
Ba Ru W
2 1 1
Direct
0.000 0.000 0.248 Ba
0.000 0.000 0.752 Ba
0.500 0.500 0.000 Ru
0.500 0.500 0.500 W

=====

GGA-PBE BaRuW, relaxed; excess energy over the best structure of this formula in the dataset = 40 meV/atom; density of states at the Fermi level = 2.7 states/eV per cell; space-group type = P3m1, No. 156; calculated formation energy = 671 meV/atom; uncorrected energy = -7.380 eV/atom
1.0
4.173 0.000 0.000
-2.087 3.614 0.000
0.000 0.000 5.457
Ba Ru W
1 1 1
Direct
0.000 0.000 0.000 Ba
0.667 0.333 0.469 Ru
0.333 0.667 0.519 W

=====

GGA-PBE Ba2RuW, relaxed; excess energy over the best structure of this formula in the dataset = 285 meV/atom; density of states at the Fermi level = 5.7 states/eV per cell; space-group type = Imm2, No. 44; calculated formation energy = 678 meV/atom; uncorrected energy = -5.840 eV/atom
1.0
-1.934 2.779 5.887
1.934 -2.779 5.887
1.934 2.779 -5.887
Ba Ru W
2 1 1
Direct
0.000 0.000 0.000 Ba
0.719 0.219 0.500 Ba
0.299 0.799 0.500 Ru
0.415 0.415 0.000 W

=====
~~~

[Response]
GGA-PBE Ba2RuW, relaxed; excess energy over the best structure of this formula in the dataset = 1149 meV/atom; density of states at the Fermi level = 4.8 states/eV per cell; space-group type = P4/mmm, No. 123; calculated formation energy = 1543 meV/atom; uncorrected energy = -4.976 eV/atom
1.0
3.833 0.000 0.000
0.000 3.833 0.000
0.000 0.000 7.642
Ba Ru W
2 1 1
Direct
0.000 0.000 0.234 Ba
0.000 0.000 0.766 Ba
0.500 0.500 0.000 Ru
0.500 0.500 0.500 W

=====

GGA-PBE BaRu2W, relaxed; excess energy over the best structure of this formula in the dataset = 331 meV/atom; density of states at the Fermi level = 4.4 states/eV per cell; space-group type = Pmm2, No. 25; calculated formation energy = 734 meV/atom; uncorrected energy = -7.623 eV/atom
1.0
2.973 0.000 0.000
0.000 3.775 0.000
0.000 0.000 7.649
Ba Ru W
1 2 1
Direct
0.000 0.000 0.000 Ba
0.000 0.000 0.497 Ru
0.500 0.500 0.312 Ru
0.500 0.500 0.630 W

=====

GGA-PBE BaRu2W, relaxed; excess energy over the best structure of this formula in the dataset = 476 meV/atom; density of states at the Fermi level = 3.3 states/eV per cell; space-group type = I-42d, No. 122; calculated formation energy = 879 meV/atom; uncorrected energy = -7.478 eV/atom
1.0
-3.724 3.724 3.363
3.724 -3.724 3.363
3.724 3.724 -3.363
Ba Ru W
2 4 2
Direct
0.000 0.000 0.000 Ba
0.750 0.250 0.500 Ba
0.199 0.625 0.074 Ru
0.375 0.449 0.574 Ru
0.551 0.125 0.926 Ru
0.875 0.801 0.426 Ru
0.250 0.750 0.500 W
0.500 0.500 0.000 W

=====

GGA-PBE Ba4RuW, relaxed; density of states at the Fermi level = 10.1 states/eV per cell; space-group type = F-43m, No. 216; calculated formation energy = 1790 meV/atom; uncorrected energy = -3.197 eV/atom
1.0
0.000 4.793 4.793
4.793 0.000 4.793
4.793 4.793 0.000
Ba Ru W
4 1 1
Direct
0.125 0.125 0.125 Ba
0.125 0.125 0.626 Ba
0.125 0.626 0.125 Ba
0.626 0.125 0.125 Ba
0.750 0.750 0.750 Ru
0.500 0.500 0.500 W

=====

GGA-PBE Ba2RuW, relaxed; excess energy over the best structure of this formula in the dataset = 1175 meV/atom; density of states at the Fermi level = 4.4 states/eV per cell; space-group type = Fm-3m, No. 225; calculated formation energy = 1569 meV/atom; uncorrected energy = -4.950 eV/atom
1.0
0.000 3.860 3.860
3.860 0.000 3.860
3.860 3.860 0.000
Ba Ru W
2 1 1
Direct
0.250 0.250 0.250 Ba
0.750 0.750 0.750 Ba
0.000 0.000 0.000 Ru
0.500 0.500 0.500 W

=====

GGA-PBE Ba2RuW, relaxed; excess energy over the best structure of this formula in the dataset = 1098 meV/atom; density of states at the Fermi level = 6.3 states/eV per cell; space-group type = Pmmm, No. 47; calculated formation energy = 1492 meV/atom; uncorrected energy = -5.027 eV/atom
1.0
3.291 0.000 0.000
0.000 5.236 0.000
0.000 0.000 5.967
Ba Ru W
2 1 1
Direct
0.000 0.000 0.248 Ba
0.000 0.000 0.752 Ba
0.500 0.500 0.000 Ru
0.500 0.500 0.500 W

=====

GGA-PBE BaRuW, relaxed; excess energy over the best structure of this formula in the dataset = 40 meV/atom; density of states at the Fermi level = 2.7 states/eV per cell; space-group type = P3m1, No. 156; calculated formation energy = 671 meV/atom; uncorrected energy = -7.380 eV/atom
1.0
4.173 0.000 0.000
-2.087 3.614 0.000
0.000 0.000 5.457
Ba Ru W
1 1 1
Direct
0.000 0.000 0.000 Ba
0.667 0.333 0.469 Ru
0.333 0.667 0.519 W

=====

GGA-PBE Ba2RuW, relaxed; excess energy over the best structure of this formula in the dataset = 285 meV/atom; density of states at the Fermi level = 5.7 states/eV per cell; space-group type = Imm2, No. 44; calculated formation energy = 678 meV/atom; uncorrected energy = -5.840 eV/atom
1.0
-1.934 2.779 5.887
1.934 -2.779 5.887
1.934 2.779 -5.887
Ba Ru W
2 1 1
Direct
0.000 0.000 0.000 Ba
0.719 0.219 0.500 Ba
0.299 0.799 0.500 Ru
0.415 0.415 0.000 W

=====